ick do i wanna know that?

Tim- Yesss
Lucy- noooo
Tim- Luce bed time
Lucy- I'm not going bed it's too early
tim- BOOT
lucy- T.O
angela- Angela
Tim- shut up Angela
Lucy- don't tell her to shut up

Lucy lays across with head laid on his lap

Tim- see your tired
Lucy- T.I.M.O.T.H.Y
Tim- fine, chill out Luce
Lucy- on the count of 3
Tim- I'm sorry
Lucy- good now cuddle me cus your warm and I don't want a hoodie
Tim- omg whatever

He cuddles her and she gets toastie cus his body heat was warm

/*
Molecular formula: C20H38CuSeSi
Method: DFT, the ωB97M-V functional and the def2-TZVPD basis

**Energy relative to the best compared isomer or geometry (same formula, charge and spin)**: 0.0 kJ/mol
**<S²>**: 0.77
**Multiplicity**: 2
**E_HOMO (alpha / beta)**: -7.504 / -7.323 eV
**Electronic energy**: -139220.23224 eV
**Total charge**: 0

Geometry as XYZ:
```
61
Properties=species:S:1:pos:R:3:forces:R:3
Cu 8.1471 9.3401 9.8900 -0.39 -0.22 0.68
C 9.3004 8.9497 8.3750 -0.86 -1.97 -1.44
C 8.2429 7.9189 8.0653 2.78 1.90 1.82
C 7.2773 8.6001 7.2813 -1.24 0.91 -1.73
C 7.7778 9.8580 6.9057 -0.36 -0.63 0.35
C 8.9659 10.1298 7.5961 0.41 -0.77 0.01
C 9.7346 11.4051 7.4232 -0.21 -0.14 0.94
C 11.0529 11.4261 8.2232 0.92 0.20 -0.72
C 8.8237 12.5540 7.9440 -0.13 0.96 -0.72
C 10.0291 11.5333 5.9094 1.65 0.52 0.64
C 5.8325 8.2219 6.9182 0.77 -1.19 -0.17
C 5.3421 9.0750 5.7666 -0.35 1.30 -0.23
C 4.9893 8.4938 8.1701 -1.09 0.53 0.25
C 5.6912 6.7619 6.3744 1.12 0.07 0.91
C 8.4817 6.4624 8.3841 1.62 0.04 0.06
C 9.8045 6.3518 9.1969 0.15 0.25 0.29
C 8.7767 5.6085 7.1025 -1.06 1.50 -0.73
C 7.4335 5.9111 9.3252 -0.07 -1.12 -0.40
H 10.2754 8.6277 8.7572 -0.40 0.70 -0.31
H 7.3173 10.5047 6.1776 -0.16 0.19 0.32
H 10.9501 11.0857 9.2719 -0.09 0.55 -0.47
H 11.5002 12.4497 8.1215 -0.52 -0.69 0.60
H 11.8419 10.7989 7.7531 -0.63 -0.03 0.22
H 8.5381 12.5014 9.0300 0.17 -0.37 -1.09
H 7.9256 12.5532 7.2617 0.62 0.30 1.05
H 9.3613 13.5434 7.8232 -0.56 -1.00 -0.02
H 10.8670 10.7811 5.7191 -1.01 1.21 -0.21
H 10.3608 12.6047 5.7614 -0.05 -1.25 -0.26
H 9.1922 11.3154 5.2528 -0.09 0.05 0.12
H 5.1032 10.1104 6.1020 0.36 -0.53 -0.31
H 4.3978 8.6807 5.3841 0.11 -0.05 -0.03
H 6.0813 9.1137 4.9403 -0.49 -0.05 0.42
H 5.0294 9.6154 8.3642 -0.37 -1.42 -0.07
H 5.2447 7.9680 9.1026 0.61 0.17 -0.42
H 3.9493 8.1226 7.9973 0.47 0.75 -0.11
H 6.4562 6.5681 5.6262 -0.04 0.30 -0.38
H 4.7296 6.5844 5.9120 -0.31 -0.03 0.21
H 5.9325 6.0160 7.1392 -0.61 0.13 -0.15
H 10.7298 6.6835 8.6866 -0.62 -0.14 -0.01
H 9.9410 5.2986 9.4253 0.08 -0.13 0.20
H 9.7274 6.9065 10.1513 0.02 -0.33 -0.51
H 9.4469 6.1819 6.4237 -0.35 -0.26 0.46
H 7.8669 5.3701 6.5064 0.73 -0.04 0.58
H 9.3030 4.7251 7.3848 0.16 -0.82 0.17
H 7.3883 6.5342 10.2088 0.03 -0.01 0.39
H 7.7045 4.8583 9.5788 -0.37 0.72 0.02
H 6.4569 5.9237 8.8654 -0.32 -0.16 0.10
C 9.9725 10.4459 14.1901 -0.61 0.08 -0.80
Si 9.0801 8.9581 13.4099 -1.02 1.46 -0.65
C 7.9318 8.1311 14.6043 -0.71 0.48 0.51
C 10.2830 7.8122 12.5744 1.47 1.54 -0.63
Se 7.5279 10.0012 11.9811 0.37 -0.33 -0.19
H 9.7175 10.6126 15.2134 -0.14 -0.27 0.95
H 9.6700 11.3929 13.7137 0.24 -0.50 -0.21
H 11.0335 10.3191 14.1110 0.74 0.11 -0.01
H 8.4193 7.3424 15.1726 -0.19 -0.14 0.19
H 7.0352 7.7839 14.0782 0.40 -0.42 -0.05
H 7.4936 8.8949 15.2862 0.60 -0.40 -0.18
H 11.2195 7.7730 13.1671 -0.38 -0.03 -0.26
H 10.5574 8.2026 11.5549 -0.13 -0.06 1.02
H 9.9669 6.8271 12.3982 -0.69 -1.42 0.02
```
Positions in Å, forces in eV/Å.

***

Molecular formula: C22H60F6NNiO14S2
*/

Angela- awhhh, Tim u better buy her valentines gifts
Tim- shhhhh she sleeping, and yes I will I already know what to get her
Angela- good cus your the only man she trusts at the moment
Tim- hold on let me put her in bed

He lays her down and covers her with the duvet and an extra blanket cus he knows that what she likes , he walks back out to Angela

Angela- u like her
Tim- doesn't matter it's not appropriate for  the moment
Angela- well if u was to date her what would u do with her
Tim- fuck her
Tim- well your my best friend so I'll tell u the truth
Lucy- ofc u would
Tim- oh I thought u were asleep
Lucy- I'm good at acting right
Tim- clearly
Lucy- so what did u tell Angela u would do to me
Tim- nothing
Angela- that he would fuck u
Tim- cut it out
Lucy- awh little softie
Tim- bruh I'm not a softie
Lucy- sure

She grabs 2 glasses of wine and a bottle of beer and hands Tim the beer and Angela 1 of the glasses of wine

== Unrelated to this entry: data records ==
~~~
45
Properties=species:S:1:pos:R:3:forces:R:3 method="wB97M-V/def2-TZVPD" e_homo_ev="-8.52 / -8.99" gap_ev="8.6 / 6.2" total_charge=0 de_lowest_ev=0.000 multiplicity=5
Ir 11.086 9.424 7.169 -0.5 -0.3 -1.4
C 8.624 8.740 8.983 -0.3 1.3 -0.5
N 9.903 9.432 8.989 0.4 -0.8 1.2
C 10.800 8.869 10.081 0.1 -1.7 -2.8
C 9.646 10.848 9.207 -0.1 0.7 0.5
C 10.900 11.661 9.059 0.5 -1.1 3.0
N 11.672 11.086 8.062 1.4 -0.4 -1.8
C 12.978 11.509 7.872 1.3 1.8 -2.1
C 13.374 12.113 6.628 -0.9 0.0 0.1
F 12.460 12.332 5.644 0.3 -0.5 0.7
C 14.639 12.660 6.416 -0.4 0.2 1.4
F 14.939 13.347 5.322 -0.3 -0.1 -0.5
C 15.526 12.694 7.465 0.1 -1.8 0.8
C 15.248 11.951 8.645 -1.0 1.9 -2.0
F 16.143 11.934 9.585 1.0 -0.3 1.3
C 13.970 11.494 8.861 -1.0 -1.0 -0.1
F 13.585 10.905 10.011 0.7 0.1 0.3
H 7.992 9.292 8.303 -0.2 0.0 -0.5
H 8.144 8.932 9.928 -0.2 -0.8 0.7
H 8.724 7.745 8.618 0.0 -0.9 0.3
H 10.310 8.885 11.000 -0.9 0.2 1.6
H 11.684 9.451 10.062 0.9 0.4 0.3
H 11.077 7.794 9.810 -0.5 1.6 0.4
H 9.290 10.994 10.220 -0.5 0.0 0.3
H 8.891 11.212 8.504 0.0 -0.3 0.0
H 11.489 11.683 10.013 -0.5 -0.4 -0.4
H 10.654 12.666 8.998 -0.6 2.2 -1.0
H 16.497 13.132 7.334 0.3 0.2 0.0
F 5.235 5.709 7.112 0.7 0.0 -0.1
C 6.377 6.282 6.702 -0.1 0.9 -0.3
C 7.530 5.556 6.400 -0.2 0.4 -0.2
F 7.505 4.237 6.538 0.2 -0.2 -0.1
C 8.647 6.220 5.870 -1.3 0.8 0.5
F 9.659 5.515 5.410 0.4 -0.2 0.2
C 8.642 7.624 5.768 0.1 -0.7 -0.6
Se 10.202 8.484 5.118 0.6 0.4 0.1
C 7.471 8.329 5.995 0.5 -1.4 0.4
F 7.390 9.638 5.855 0.2 0.7 -0.1
C 6.369 7.664 6.474 -0.3 -0.3 0.2
F 5.297 8.410 6.736 -0.5 -0.3 0.2
F 13.388 6.252 8.741 0.7 -0.5 0.7
B 12.651 6.819 7.786 -1.1 0.5 -0.1
F 11.262 6.645 7.981 -0.5 -0.2 0.2
F 12.951 6.550 6.506 0.6 -0.2 -0.8
F 12.765 8.319 7.978 0.8 0.1 0.0


67
Properties=species:S:1:pos:R:3:forces:R:3 method="wB97M-V/def2-TZVPD" e_homo_ev=-10.10 gap_ev=6.3 total_charge=+1
C -0.331 -0.660 2.673 0.5 0.1 0.5
C 1.137 -1.174 2.751 -0.4 0.8 0.3
O 1.412 -2.023 1.654 0.1 -0.1 0.6
C 2.666 -2.684 1.773 0.3 -0.2 -0.6
C 3.747 -1.972 0.932 -1.2 -0.2 0.4
O 3.795 -0.615 1.340 0.6 -0.2 0.0
C 4.832 0.113 0.701 0.2 0.3 -0.5
C 4.481 0.520 -0.748 -0.2 -0.6 1.1
O 3.303 1.322 -0.741 0.7 0.1 -0.5
C 3.288 2.231 -1.859 -0.4 0.0 0.5
C 1.826 2.465 -2.213 1.0 -0.6 -0.4
C 1.083 1.407 -2.907 0.3 0.5 0.3
C 1.868 0.179 -3.260 0.4 -0.4 -0.6
I 3.102 0.369 -5.017 -0.6 0.3 0.5
C 1.829 -0.980 -2.593 0.1 0.2 0.0
C 0.970 -1.131 -1.346 0.0 -0.1 -0.7
I 3.004 -2.657 -3.225 -0.6 0.4 0.6
C -0.245 1.552 -3.224 0.3 -0.2 0.0
C -1.009 0.440 -3.926 0.5 0.1 0.9
Cl -1.318 0.943 -5.627 -0.1 -0.2 0.2
C -2.290 -0.097 -3.187 -0.6 0.7 -0.7
C -3.633 0.440 -3.705 -0.8 -0.7 0.6
Cl -2.254 0.289 -1.399 0.0 -0.2 -0.3
C -0.831 2.812 -2.861 -0.2 0.6 0.0
N -2.087 3.185 -3.106 0.0 0.2 0.2
S -2.301 4.660 -2.494 0.3 -0.1 -0.1
N -0.814 4.950 -1.904 -0.4 -0.2 -0.2
C -0.106 3.867 -2.180 0.3 -1.0 -0.2
C 1.274 3.648 -1.850 -0.6 0.1 0.0
O 1.984 4.587 -1.184 -0.2 0.1 0.1
H -0.837 -1.048 1.779 0.1 0.0 0.3
H -0.323 0.441 2.648 -0.1 -0.4 -0.2
H -0.851 -0.937 3.608 -0.1 -0.1 -0.5
~~~

Tim- don't think u should be drinking Luce
Lucy- shut up
Tim- jeez u moody
Lucy not what u said the other night
angela- what happened the other night
Lucy- so I was diagnosed with PGAD
Angela- poor u
Lucy- so u know the only way to help it is to have sex with the person that set it off
Angela- ye
Lucy- went off with him and then he says "I'll do it" so then we had like 7-8 hours of sex
Angela- dam what happened after
Lucy- he kept saying I was hot and he wanted to kiss me
Tim- FUCK your exposing me now
Lucy- good
Tim- ur lucky ur hot
Angela- Timothy?
Tim- I thought I said that in my head, my bad

Angela texts lucy saying "𝚍𝚘𝚞𝚋𝚕𝚎 𝚍𝚊𝚛𝚎 𝚞 𝚝𝚘𝚘 𝚐𝚘 𝚙𝚕𝚊𝚢 𝚊𝚛𝚘𝚞𝚗𝚍 𝚠𝚒𝚝𝚑 𝚑𝚒𝚖"Lucy replied " 𝚍𝚎𝚊𝚕 ", she gets up and sits on his lap playing with his hair as she pretended to drop her phone , she stood in front of him and bent over to pick up her phone which gave Tim a good view of her ass

Tim- wow
Lucy- did u say something
Tim- me, oh no nothing
Angela- he totally did

Lucy sat back on his lap and she put his hands her her wait as she turned and looked at him, she placed her soft glossy lips against his smooth warm lips and kisses him she pulled back and looked at him

Tim- oh dang Luce
